# What to do
Now transcribe everything further down with every line break kept.

# Given
Entry 1:
The following is a GGA-PBE calculation of a relaxed structure of Na3Ca2Ti2P3S3O24, from the Materials Project.

Calculated values
- Density: 2.55 g/cm3
- ΔH_f (0 K): -2.701 eV per atom
- M_tot: 0.00 μB per cell
- Calculated total energy: -763.83 eV for the cell shown

abc: 8.884 8.917 23.208
angles: 90.06 90.12 119.75
Space group P1 (No. 1)
Inequivalent atoms, fractional coordinates:
Na1 0.000 0.000 0.000 [1 per cell]
Na2 0.005 0.016 0.501 [1 per cell]
Na3 0.317 0.653 0.166 [1 per cell]
Na4 0.327 0.655 0.665 [1 per cell]
Na5 0.367 0.004 0.751 [1 per cell]
Na6 0.628 0.003 0.251 [1 per cell]
Na7 0.657 0.332 0.337 [1 per cell]
Na8 0.674 0.345 0.838 [1 per cell]
Na9 0.689 0.668 0.420 [1 per cell]
Ca1 0.008 0.015 0.360 [1 per cell]
Ca2 0.324 0.659 0.319 [1 per cell]
Ca3 0.330 0.664 0.819 [1 per cell]
Ca4 0.664 0.342 0.178 [1 per cell]
Ca5 0.669 0.341 0.679 [1 per cell]
Ca6 0.997 0.001 0.861 [1 per cell]
Ti1 0.002 0.002 0.140 [1 per cell]
Ti2 0.329 0.678 0.021 [1 per cell]
Ti3 0.337 0.667 0.521 [1 per cell]
Ti4 0.653 0.317 0.491 [1 per cell]
Ti5 0.654 0.325 0.991 [1 per cell]
Ti6 0.992 0.002 0.641 [1 per cell]
P1 0.343 0.378 0.426 [1 per cell]
P2 0.343 0.971 0.923 [1 per cell]
P3 0.360 0.028 0.586 [1 per cell]
P4 0.362 0.340 0.083 [1 per cell]
P5 0.616 0.966 0.422 [1 per cell]
P6 0.661 0.032 0.086 [1 per cell]
P7 0.663 0.634 0.583 [1 per cell]
P8 0.962 0.632 0.083 [1 per cell]
P9 0.966 0.340 0.584 [1 per cell]
S1 0.026 0.653 0.425 [1 per cell]
S2 0.027 0.381 0.925 [1 per cell]
S3 0.280 0.286 0.747 [1 per cell]
S4 0.284 0.000 0.247 [1 per cell]
S5 0.617 0.653 0.926 [1 per cell]
S6 0.709 0.000 0.748 [1 per cell]
S7 0.712 0.716 0.250 [1 per cell]
S8 0.996 0.716 0.748 [1 per cell]
S9 0.997 0.287 0.246 [1 per cell]
O1 0.002 0.807 0.423 [1 per cell]
O2 0.004 0.187 0.195 [1 per cell]
O3 0.006 0.824 0.697 [1 per cell]
O4 0.011 0.208 0.925 [1 per cell]
O5 0.092 0.470 0.870 [1 per cell]
O6 0.093 0.630 0.370 [1 per cell]
O7 0.140 0.672 0.474 [1 per cell]
O8 0.145 0.480 0.974 [1 per cell]
O9 0.149 0.489 0.568 [1 per cell]
O10 0.149 0.667 0.068 [1 per cell]
O11 0.154 0.458 0.246 [1 per cell]
O12 0.162 0.711 0.748 [1 per cell]
O13 0.174 0.187 0.695 [1 per cell]
O14 0.178 0.018 0.591 [1 per cell]
O15 0.180 0.168 0.091 [1 per cell]
O16 0.180 0.986 0.927 [1 per cell]
O17 0.180 0.996 0.195 [1 per cell]
O18 0.182 0.201 0.427 [1 per cell]
O19 0.201 0.191 0.801 [1 per cell]
O20 0.204 0.011 0.300 [1 per cell]
O21 0.295 0.458 0.747 [1 per cell]
O22 0.300 0.841 0.245 [1 per cell]
O23 0.329 0.489 0.067 [1 per cell]
O24 0.329 0.489 0.475 [1 per cell]
O25 0.330 0.848 0.569 [1 per cell]
O26 0.332 0.841 0.971 [1 per cell]
O27 0.374 0.913 0.864 [1 per cell]
O28 0.385 0.480 0.370 [1 per cell]
O29 0.453 0.299 0.744 [1 per cell]
O30 0.458 0.086 0.642 [1 per cell]
O31 0.460 0.305 0.033 [1 per cell]
O32 0.462 0.153 0.245 [1 per cell]
O33 0.463 0.161 0.536 [1 per cell]
O34 0.463 0.382 0.139 [1 per cell]
O35 0.501 0.838 0.471 [1 per cell]
O36 0.508 0.151 0.937 [1 per cell]
O37 0.509 0.849 0.069 [1 per cell]
O38 0.510 0.363 0.438 [1 per cell]
O39 0.510 0.670 0.570 [1 per cell]
O40 0.516 0.668 0.974 [1 per cell]
O41 0.527 0.626 0.870 [1 per cell]
O42 0.528 0.912 0.363 [1 per cell]
O43 0.534 0.841 0.746 [1 per cell]
O44 0.541 0.711 0.247 [1 per cell]
O45 0.619 0.086 0.142 [1 per cell]
O46 0.619 0.532 0.638 [1 per cell]
O47 0.637 0.496 0.934 [1 per cell]
O48 0.639 0.149 0.437 [1 per cell]
O49 0.682 0.152 0.746 [1 per cell]
O50 0.688 0.541 0.246 [1 per cell]
O51 0.691 0.164 0.036 [1 per cell]
O52 0.697 0.546 0.531 [1 per cell]
O53 0.789 0.810 0.926 [1 per cell]
O54 0.790 0.969 0.425 [1 per cell]
O55 0.799 0.794 0.305 [1 per cell]
O56 0.801 0.012 0.801 [1 per cell]
O57 0.807 0.995 0.696 [1 per cell]
O58 0.813 0.826 0.199 [1 per cell]
O59 0.829 0.819 0.592 [1 per cell]
O60 0.830 0.017 0.091 [1 per cell]
O61 0.833 0.537 0.033 [1 per cell]
O62 0.835 0.305 0.533 [1 per cell]
O63 0.836 0.299 0.243 [1 per cell]
O64 0.845 0.541 0.746 [1 per cell]

# Result
Entry 1:
The following is a GGA-PBE calculation of a relaxed structure of Na3Ca2Ti2P3S3O24, from the Materials Project.

Calculated values
- Density: 2.55 g/cm3
- ΔH_f (0 K): -2.701 eV per atom
- M_tot: 0.00 μB per cell
- Calculated total energy: -763.83 eV for the cell shown

abc: 8.884 8.917 23.208
angles: 90.06 90.12 119.75
Space group P1 (No. 1)
Inequivalent atoms, fractional coordinates:
Na1 0.000 0.000 0.000 [1 per cell]
Na2 0.005 0.016 0.501 [1 per cell]
Na3 0.317 0.653 0.166 [1 per cell]
Na4 0.327 0.655 0.665 [1 per cell]
Na5 0.367 0.004 0.751 [1 per cell]
Na6 0.628 0.003 0.251 [1 per cell]
Na7 0.657 0.332 0.337 [1 per cell]
Na8 0.674 0.345 0.838 [1 per cell]
Na9 0.689 0.668 0.420 [1 per cell]
Ca1 0.008 0.015 0.360 [1 per cell]
Ca2 0.324 0.659 0.319 [1 per cell]
Ca3 0.330 0.664 0.819 [1 per cell]
Ca4 0.664 0.342 0.178 [1 per cell]
Ca5 0.669 0.341 0.679 [1 per cell]
Ca6 0.997 0.001 0.861 [1 per cell]
Ti1 0.002 0.002 0.140 [1 per cell]
Ti2 0.329 0.678 0.021 [1 per cell]
Ti3 0.337 0.667 0.521 [1 per cell]
Ti4 0.653 0.317 0.491 [1 per cell]
Ti5 0.654 0.325 0.991 [1 per cell]
Ti6 0.992 0.002 0.641 [1 per cell]
P1 0.343 0.378 0.426 [1 per cell]
P2 0.343 0.971 0.923 [1 per cell]
P3 0.360 0.028 0.586 [1 per cell]
P4 0.362 0.340 0.083 [1 per cell]
P5 0.616 0.966 0.422 [1 per cell]
P6 0.661 0.032 0.086 [1 per cell]
P7 0.663 0.634 0.583 [1 per cell]
P8 0.962 0.632 0.083 [1 per cell]
P9 0.966 0.340 0.584 [1 per cell]
S1 0.026 0.653 0.425 [1 per cell]
S2 0.027 0.381 0.925 [1 per cell]
S3 0.280 0.286 0.747 [1 per cell]
S4 0.284 0.000 0.247 [1 per cell]
S5 0.617 0.653 0.926 [1 per cell]
S6 0.709 0.000 0.748 [1 per cell]
S7 0.712 0.716 0.250 [1 per cell]
S8 0.996 0.716 0.748 [1 per cell]
S9 0.997 0.287 0.246 [1 per cell]
O1 0.002 0.807 0.423 [1 per cell]
O2 0.004 0.187 0.195 [1 per cell]
O3 0.006 0.824 0.697 [1 per cell]
O4 0.011 0.208 0.925 [1 per cell]
O5 0.092 0.470 0.870 [1 per cell]
O6 0.093 0.630 0.370 [1 per cell]
O7 0.140 0.672 0.474 [1 per cell]
O8 0.145 0.480 0.974 [1 per cell]
O9 0.149 0.489 0.568 [1 per cell]
O10 0.149 0.667 0.068 [1 per cell]
O11 0.154 0.458 0.246 [1 per cell]
O12 0.162 0.711 0.748 [1 per cell]
O13 0.174 0.187 0.695 [1 per cell]
O14 0.178 0.018 0.591 [1 per cell]
O15 0.180 0.168 0.091 [1 per cell]
O16 0.180 0.986 0.927 [1 per cell]
O17 0.180 0.996 0.195 [1 per cell]
O18 0.182 0.201 0.427 [1 per cell]
O19 0.201 0.191 0.801 [1 per cell]
O20 0.204 0.011 0.300 [1 per cell]
O21 0.295 0.458 0.747 [1 per cell]
O22 0.300 0.841 0.245 [1 per cell]
O23 0.329 0.489 0.067 [1 per cell]
O24 0.329 0.489 0.475 [1 per cell]
O25 0.330 0.848 0.569 [1 per cell]
O26 0.332 0.841 0.971 [1 per cell]
O27 0.374 0.913 0.864 [1 per cell]
O28 0.385 0.480 0.370 [1 per cell]
O29 0.453 0.299 0.744 [1 per cell]
O30 0.458 0.086 0.642 [1 per cell]
O31 0.460 0.305 0.033 [1 per cell]
O32 0.462 0.153 0.245 [1 per cell]
O33 0.463 0.161 0.536 [1 per cell]
O34 0.463 0.382 0.139 [1 per cell]
O35 0.501 0.838 0.471 [1 per cell]
O36 0.508 0.151 0.937 [1 per cell]
O37 0.509 0.849 0.069 [1 per cell]
O38 0.510 0.363 0.438 [1 per cell]
O39 0.510 0.670 0.570 [1 per cell]
O40 0.516 0.668 0.974 [1 per cell]
O41 0.527 0.626 0.870 [1 per cell]
O42 0.528 0.912 0.363 [1 per cell]
O43 0.534 0.841 0.746 [1 per cell]
O44 0.541 0.711 0.247 [1 per cell]
O45 0.619 0.086 0.142 [1 per cell]
O46 0.619 0.532 0.638 [1 per cell]
O47 0.637 0.496 0.934 [1 per cell]
O48 0.639 0.149 0.437 [1 per cell]
O49 0.682 0.152 0.746 [1 per cell]
O50 0.688 0.541 0.246 [1 per cell]
O51 0.691 0.164 0.036 [1 per cell]
O52 0.697 0.546 0.531 [1 per cell]
O53 0.789 0.810 0.926 [1 per cell]
O54 0.790 0.969 0.425 [1 per cell]
O55 0.799 0.794 0.305 [1 per cell]
O56 0.801 0.012 0.801 [1 per cell]
O57 0.807 0.995 0.696 [1 per cell]
O58 0.813 0.826 0.199 [1 per cell]
O59 0.829 0.819 0.592 [1 per cell]
O60 0.830 0.017 0.091 [1 per cell]
O61 0.833 0.537 0.033 [1 per cell]
O62 0.835 0.305 0.533 [1 per cell]
O63 0.836 0.299 0.243 [1 per cell]
O64 0.845 0.541 0.746 [1 per cell]